Activity:
Retype the notes underneath from the line with "0.1687" to the end with every line break kept.

Material:
~~~
# 1
A plane-wave DFT calculation with PBE-GGA was carried out for a geometry-optimized Mg6GaCo structure.

## Properties
Distance to the lowest polymorph of the same formula (eV/f.u.): 0.09
Energy of formation from the pure elements (meV/atom): 79

Cell lengths 4.7635, 6.0402, 10.3659 Å; angles 90.00, 90.00, 90.00 degrees
Fractional positions:
Mg 0.5000 0.2513 0.0838
Mg 0.5000 0.7487 0.0838
Mg 0.0000 0.2398 0.9116
Mg 0.0000 0.7602 0.9116
Mg 0.0000 0.5000 0.1752
Mg 0.0000 0.5000 0.6687
Mg 0.5000 0.7513 0.5838
Mg 0.5000 0.2487 0.5838
Mg 0.0000 0.7398 0.4116
Mg 0.0000 0.2602 0.4116
Mg 0.0000 0.0000 0.6752
Mg 0.0000 0.0000 0.1687
Ga 0.5000 0.5000 0.8321
Ga 0.5000 0.0000 0.3321
Co 0.5000 0.5000 0.3332
Co 0.5000 0.0000 0.8332

# 2
A plane-wave DFT calculation with PBE-GGA was carried out for a geometry-optimized Mg6GaCo structure.

## Properties
Distance to the lowest polymorph of the same formula (eV/f.u.): 0.00
Energy of formation from the pure elements (meV/atom): 68

Cell lengths 4.8114, 6.0624, 10.4163 Å; angles 90.00, 90.00, 90.00 degrees
Fractional positions:
Mg 0.0000 0.2545 0.0867
Mg 0.0000 0.7455 0.0867
Mg 0.0000 0.5000 0.8341
Mg 0.5000 0.2358 0.9094
Mg 0.5000 0.7642 0.9094
Mg 0.5000 0.5000 0.6668
Mg 0.0000 0.7545 0.5867
Mg 0.0000 0.2455 0.5867
Mg 0.0000 0.0000 0.3341
Mg 0.5000 0.7358 0.4094
Mg 0.5000 0.2642 0.4094
Mg 0.5000 0.0000 0.1668
Ga 0.5000 0.5000 0.1744
Ga 0.5000 0.0000 0.6744
Co 0.0000 0.5000 0.3325
Co 0.0000 0.0000 0.8325

# 3
A plane-wave DFT calculation with PBE-GGA was carried out for a geometry-optimized MnGa2Co structure.

## Properties
Space group: Fm-3m (225)
Crystal system: cubic
Energy of formation from the pure elements (meV/atom): -98

Cell lengths 4.1189, 4.1189, 4.1189 Å; angles 60.00, 60.00, 60.00 degrees
Fractional positions:
Mn 0.5000 0.5000 0.5000
Ga 0.7500 0.7500 0.7500
Ga 0.2500 0.2500 0.2500
Co 0.0000 0.0000 0.0000

# 4
A plane-wave DFT calculation with PBE-GGA was carried out for a geometry-optimized MnVGaCo structure.

## Properties
Space group: P-43m (215)
Crystal system: cubic
Energy of formation from the pure elements (meV/atom): -307

Cell lengths 5.7600, 5.7600, 5.7600 Å; angles 90.00, 90.00, 90.00 degrees
Fractional positions:
Mn 0.5000 0.5000 0.0000
Mn 0.5000 0.0000 0.5000
Mn 0.0000 0.5000 0.5000
Mn 0.5000 0.5000 0.5000
V 0.2566 0.2566 0.2566
V 0.7434 0.7434 0.2566
V 0.2566 0.7434 0.7434
V 0.7434 0.2566 0.7434
Ga 0.7524 0.7524 0.7524
Ga 0.2476 0.2476 0.7524
Ga 0.2476 0.7524 0.2476
Ga 0.7524 0.2476 0.2476
Co 0.0000 0.0000 0.0000
Co 0.5000 0.0000 0.0000
Co 0.0000 0.5000 0.0000
Co 0.0000 0.0000 0.5000

# 5
A plane-wave DFT calculation with PBE-GGA was carried out for a geometry-optimized MnV2Ga2Co3 structure.

## Properties
Space group: Pn-3m (224)
Crystal system: cubic
Energy of formation from the pure elements (meV/atom): -301

Cell lengths 5.7465, 5.7465, 5.7465 Å; angles 90.00, 90.00, 90.00 degrees
Fractional positions:
Mn 0.0000 0.0000 0.0000
Mn 0.5000 0.5000 0.5000
V 0.2500 0.2500 0.2500
V 0.7500 0.7500 0.2500
V 0.2500 0.7500 0.7500
V 0.7500 0.2500 0.7500
Ga 0.7500 0.7500 0.7500
Ga 0.2500 0.2500 0.7500
Ga 0.2500 0.7500 0.2500
Ga 0.7500 0.2500 0.2500
Co 0.5000 0.5000 0.0000
Co 0.5000 0.0000 0.5000
Co 0.0000 0.5000 0.5000
Co 0.5000 0.0000 0.0000
Co 0.0000 0.5000 0.0000
Co 0.0000 0.0000 0.5000

# 6
A plane-wave DFT calculation with PBE-GGA was carried out for a geometry-optimized GaCo2N3 structure.

## Properties
Space group: C2/c (15)
Crystal system: monoclinic
Energy of formation from the pure elements (meV/atom): 259

Cell lengths 5.0294, 8.4633, 12.0425 Å; angles 90.00, 99.88, 147.29 degrees
Fractional positions:
Ga 0.4989 0.2015 0.6872
Ga 0.5011 0.7026 0.8128
Ga 0.5011 0.7985 0.3128
Ga 0.4989 0.2974 0.1872
Co 0.4120 0.9569 0.8784
Co 0.5880 0.5449 0.6216
Co 0.5880 0.0431 0.1216
Co 0.4120 0.4551 0.3784
Co 0.6654 0.9541 0.5179
Co 0.3346 0.2887 0.9821
Co 0.3346 0.0459 0.4821
Co 0.6654 0.7113 0.0179
N 0.0000 0.6107 0.7500
N 0.0000 0.3893 0.2500
N 0.8820 0.2425 0.6085
~~~

Done:
Mg 0.0000 0.0000 0.1687
Ga 0.5000 0.5000 0.8321
Ga 0.5000 0.0000 0.3321
Co 0.5000 0.5000 0.3332
Co 0.5000 0.0000 0.8332

# 2
A plane-wave DFT calculation with PBE-GGA was carried out for a geometry-optimized Mg6GaCo structure.

## Properties
Distance to the lowest polymorph of the same formula (eV/f.u.): 0.00
Energy of formation from the pure elements (meV/atom): 68

Cell lengths 4.8114, 6.0624, 10.4163 Å; angles 90.00, 90.00, 90.00 degrees
Fractional positions:
Mg 0.0000 0.2545 0.0867
Mg 0.0000 0.7455 0.0867
Mg 0.0000 0.5000 0.8341
Mg 0.5000 0.2358 0.9094
Mg 0.5000 0.7642 0.9094
Mg 0.5000 0.5000 0.6668
Mg 0.0000 0.7545 0.5867
Mg 0.0000 0.2455 0.5867
Mg 0.0000 0.0000 0.3341
Mg 0.5000 0.7358 0.4094
Mg 0.5000 0.2642 0.4094
Mg 0.5000 0.0000 0.1668
Ga 0.5000 0.5000 0.1744
Ga 0.5000 0.0000 0.6744
Co 0.0000 0.5000 0.3325
Co 0.0000 0.0000 0.8325

# 3
A plane-wave DFT calculation with PBE-GGA was carried out for a geometry-optimized MnGa2Co structure.

## Properties
Space group: Fm-3m (225)
Crystal system: cubic
Energy of formation from the pure elements (meV/atom): -98

Cell lengths 4.1189, 4.1189, 4.1189 Å; angles 60.00, 60.00, 60.00 degrees
Fractional positions:
Mn 0.5000 0.5000 0.5000
Ga 0.7500 0.7500 0.7500
Ga 0.2500 0.2500 0.2500
Co 0.0000 0.0000 0.0000

# 4
A plane-wave DFT calculation with PBE-GGA was carried out for a geometry-optimized MnVGaCo structure.

## Properties
Space group: P-43m (215)
Crystal system: cubic
Energy of formation from the pure elements (meV/atom): -307

Cell lengths 5.7600, 5.7600, 5.7600 Å; angles 90.00, 90.00, 90.00 degrees
Fractional positions:
Mn 0.5000 0.5000 0.0000
Mn 0.5000 0.0000 0.5000
Mn 0.0000 0.5000 0.5000
Mn 0.5000 0.5000 0.5000
V 0.2566 0.2566 0.2566
V 0.7434 0.7434 0.2566
V 0.2566 0.7434 0.7434
V 0.7434 0.2566 0.7434
Ga 0.7524 0.7524 0.7524
Ga 0.2476 0.2476 0.7524
Ga 0.2476 0.7524 0.2476
Ga 0.7524 0.2476 0.2476
Co 0.0000 0.0000 0.0000
Co 0.5000 0.0000 0.0000
Co 0.0000 0.5000 0.0000
Co 0.0000 0.0000 0.5000

# 5
A plane-wave DFT calculation with PBE-GGA was carried out for a geometry-optimized MnV2Ga2Co3 structure.

## Properties
Space group: Pn-3m (224)
Crystal system: cubic
Energy of formation from the pure elements (meV/atom): -301

Cell lengths 5.7465, 5.7465, 5.7465 Å; angles 90.00, 90.00, 90.00 degrees
Fractional positions:
Mn 0.0000 0.0000 0.0000
Mn 0.5000 0.5000 0.5000
V 0.2500 0.2500 0.2500
V 0.7500 0.7500 0.2500
V 0.2500 0.7500 0.7500
V 0.7500 0.2500 0.7500
Ga 0.7500 0.7500 0.7500
Ga 0.2500 0.2500 0.7500
Ga 0.2500 0.7500 0.2500
Ga 0.7500 0.2500 0.2500
Co 0.5000 0.5000 0.0000
Co 0.5000 0.0000 0.5000
Co 0.0000 0.5000 0.5000
Co 0.5000 0.0000 0.0000
Co 0.0000 0.5000 0.0000
Co 0.0000 0.0000 0.5000

# 6
A plane-wave DFT calculation with PBE-GGA was carried out for a geometry-optimized GaCo2N3 structure.

## Properties
Space group: C2/c (15)
Crystal system: monoclinic
Energy of formation from the pure elements (meV/atom): 259

Cell lengths 5.0294, 8.4633, 12.0425 Å; angles 90.00, 99.88, 147.29 degrees
Fractional positions:
Ga 0.4989 0.2015 0.6872
Ga 0.5011 0.7026 0.8128
Ga 0.5011 0.7985 0.3128
Ga 0.4989 0.2974 0.1872
Co 0.4120 0.9569 0.8784
Co 0.5880 0.5449 0.6216
Co 0.5880 0.0431 0.1216
Co 0.4120 0.4551 0.3784
Co 0.6654 0.9541 0.5179
Co 0.3346 0.2887 0.9821
Co 0.3346 0.0459 0.4821
Co 0.6654 0.7113 0.0179
N 0.0000 0.6107 0.7500
N 0.0000 0.3893 0.2500
N 0.8820 0.2425 0.6085